• Data:
********
Entry 1:
{"formula": "C12H9F6N3O6PdS4", "method": "ωB97M-V/def2-TZVPD", "elements": ["F", "F", "H", "H", "H", "O", "F", "C", "N", "H", "S", "H", "S", "C", "C", "C", "C", "O", "O", "C", "N", "C", "F", "Pd", "F", "S", "O", "S", "F", "C", "H", "N", "H", "C", "C", "H", "O", "H", "C", "O", "C"], "coordinates": [[-1.777, 0.740, -4.393], [-2.223, -4.463, 1.100], [5.605, 3.655, 3.924], [3.624, 0.905, 1.301], [-4.926, 3.448, 0.711], [-0.320, -2.153, 0.021], [-3.311, -0.755, -4.065], [-2.304, 2.297, 1.554], [-0.986, 1.897, 1.197], [0.447, 3.798, 3.052], [-1.425, -0.674, -2.269], [3.467, 4.779, 4.422], [-1.728, -2.334, -0.249], [1.213, 1.845, 1.586], [3.604, 1.746, 1.979], [4.690, 3.306, 3.461], [-4.830, 2.650, 1.449], [1.245, 4.162, 3.485], [1.270, 0.845, 0.803], [-2.023, -0.504, -4.025], [-0.042, 2.431, 1.856], [-2.217, -4.122, -0.176], [-1.349, -4.851, -0.847], [-0.411, 0.455, -0.152], [-3.424, -4.242, -0.692], [-2.590, 3.512, 2.694], [0.021, -0.481, -2.213], [-3.569, 1.508, 0.804], [-1.343, -1.354, -4.751], [2.347, 2.373, 2.239], [-4.493, 2.405, 3.593], [-1.992, -2.018, -1.829], [-5.770, 2.101, 1.510], [3.516, 3.937, 3.745], [-4.372, 3.149, 2.805], [-4.882, 4.067, 3.092], [-1.946, 0.485, -1.433], [5.693, 1.717, 2.368], [2.321, 3.500, 3.154], [-2.639, -1.639, 0.607], [4.744, 2.195, 2.569]], "lowdin_charge": [0.188, 0.183, 0.138, 0.135, 0.111, -0.299, 0.200, -0.825, -0.101, 0.085, 0.683, 0.144, 0.641, -0.313, 0.026, 0.033, -0.398, 0.150, -0.062, -0.691, 0.132, -0.696, 0.191, 1.108, 0.185, 1.119, -0.292, 1.180, 0.214, -0.032, 0.107, -0.254, 0.113, 0.035, -0.411, 0.110, -0.469, 0.131, -0.197, -0.304, 0.001], "homo_energy_ev": -15.34, "e_above_lowest_ev": 1.423, "total_energy_ev": -92449.401, "gap_ev": 4.7, "total_charge": 2}


Entry 2:
{"formula": "C13H10BrClNOPdS3", "method": "ωB97M-V/def2-TZVPD", "elements": ["S", "Br", "H", "C", "C", "H", "C", "N", "C", "H", "S", "C", "H", "C", "C", "C", "C", "Cl", "C", "O", "S", "H", "C", "C", "H", "H", "H", "C", "H", "H", "Pd"], "coordinates": [[-0.656, 5.303, -0.774], [1.198, -1.663, -0.455], [-4.966, -3.786, -0.602], [-2.818, -0.682, 0.321], [-4.154, -1.919, -1.303], [-2.381, 1.362, 0.041], [4.505, 1.424, 0.189], [2.223, 0.792, -0.010], [3.931, -0.880, -0.201], [-1.972, 0.692, 1.718], [0.034, 3.098, 1.062], [-4.346, -2.934, -0.359], [6.779, 0.428, 0.160], [4.898, 0.101, 0.004], [-2.175, 0.503, 0.676], [2.632, -0.460, -0.194], [3.163, 1.725, 0.177], [-2.167, -1.742, 2.746], [-0.268, 3.685, -0.503], [6.172, -0.309, 0.008], [-0.106, 2.557, -1.756], [2.807, 2.737, 0.320], [-2.970, -1.778, 1.220], [-3.399, -0.826, -0.977], [-3.242, -0.030, -1.695], [-3.858, -3.669, 1.610], [-4.603, -2.000, -2.284], [-3.739, -2.867, 0.894], [4.210, -1.914, -0.352], [5.236, 2.209, 0.345], [0.033, 0.843, -0.026]], "lowdin_charge": [0.796, 0.852, 0.117, -0.322, -0.059, 0.057, 0.032, -0.104, -0.009, 0.035, 0.583, -0.034, 0.134, -0.288, -0.115, -0.708, -0.104, 0.742, -1.768, 0.120, 0.579, 0.100, -0.599, -0.022, 0.121, 0.115, 0.116, -0.089, 0.134, 0.131, 0.460], "homo_energy_ev": [-10.59, -12.22], "s_squared": 6.0465, "spin_multiplicity": 5, "e_above_lowest_ev": 0.263, "total_energy_ev": -135722.446, "gap_ev": [7.1, 6.1], "total_charge": 1}


Entry 3:
********

• Job:
Could you transcribe the lines earlier on from the first line to the one with "Entry 2:" verbatim?

• Response:
Entry 1:
{"formula": "C12H9F6N3O6PdS4", "method": "ωB97M-V/def2-TZVPD", "elements": ["F", "F", "H", "H", "H", "O", "F", "C", "N", "H", "S", "H", "S", "C", "C", "C", "C", "O", "O", "C", "N", "C", "F", "Pd", "F", "S", "O", "S", "F", "C", "H", "N", "H", "C", "C", "H", "O", "H", "C", "O", "C"], "coordinates": [[-1.777, 0.740, -4.393], [-2.223, -4.463, 1.100], [5.605, 3.655, 3.924], [3.624, 0.905, 1.301], [-4.926, 3.448, 0.711], [-0.320, -2.153, 0.021], [-3.311, -0.755, -4.065], [-2.304, 2.297, 1.554], [-0.986, 1.897, 1.197], [0.447, 3.798, 3.052], [-1.425, -0.674, -2.269], [3.467, 4.779, 4.422], [-1.728, -2.334, -0.249], [1.213, 1.845, 1.586], [3.604, 1.746, 1.979], [4.690, 3.306, 3.461], [-4.830, 2.650, 1.449], [1.245, 4.162, 3.485], [1.270, 0.845, 0.803], [-2.023, -0.504, -4.025], [-0.042, 2.431, 1.856], [-2.217, -4.122, -0.176], [-1.349, -4.851, -0.847], [-0.411, 0.455, -0.152], [-3.424, -4.242, -0.692], [-2.590, 3.512, 2.694], [0.021, -0.481, -2.213], [-3.569, 1.508, 0.804], [-1.343, -1.354, -4.751], [2.347, 2.373, 2.239], [-4.493, 2.405, 3.593], [-1.992, -2.018, -1.829], [-5.770, 2.101, 1.510], [3.516, 3.937, 3.745], [-4.372, 3.149, 2.805], [-4.882, 4.067, 3.092], [-1.946, 0.485, -1.433], [5.693, 1.717, 2.368], [2.321, 3.500, 3.154], [-2.639, -1.639, 0.607], [4.744, 2.195, 2.569]], "lowdin_charge": [0.188, 0.183, 0.138, 0.135, 0.111, -0.299, 0.200, -0.825, -0.101, 0.085, 0.683, 0.144, 0.641, -0.313, 0.026, 0.033, -0.398, 0.150, -0.062, -0.691, 0.132, -0.696, 0.191, 1.108, 0.185, 1.119, -0.292, 1.180, 0.214, -0.032, 0.107, -0.254, 0.113, 0.035, -0.411, 0.110, -0.469, 0.131, -0.197, -0.304, 0.001], "homo_energy_ev": -15.34, "e_above_lowest_ev": 1.423, "total_energy_ev": -92449.401, "gap_ev": 4.7, "total_charge": 2}


Entry 2: